Stream: Beginner Questions

Topic: Isabelle stuck while checking proof

view this post on Zulip Poscat (Feb 02 2025 at 09:50):

Context: I'm reading the book concrete semantics and trying to do the exercise 3.1

Isabelle stuck trying to check the apply(auto split:aexp.split) command. Is this normal? Am I doing something wrong?

theory chap3
imports Main

type_synonym vname = string
datatype aexp = N int | V vname | Plus aexp aexp
type_synonym assignment = "vname => int"

== Unrelated to this text: calculated molecules ==
'''
Entry 1:
Formula: CH5OPS
Source: the OMol25 dataset
Level of theory: the ωB97M-V functional and the def2-TZVPD basis

Each line ends with the Löwdin charge.
Positions of all 9 atoms, in Å:
O -3.795 0.078 -0.908  -0.5759
P -3.831 -0.220 0.485  0.7442
H -2.906 0.760 0.868  -0.1598
C 2.214 -0.247 -0.320  -0.5062
S 1.140 0.477 0.937  0.5755
H 3.132 -0.498 0.308  0.0485
H 2.399 0.469 -1.110  0.0163
H 1.829 -1.155 -0.706  0.0056
H -0.183 0.336 0.446  -0.1482

Kohn-Sham gap   8.18 eV
E_LUMO   -0.936 eV
E_HOMO   -9.111 eV
Total energy   -855.8151 hartree
SMILES   O=P.CS
Energy above the lowest of the compared OMol25 structures with the same formula, charge and spin   224.07 kJ/mol

Entry 2:
Formula: C56H46NO3PS4Te2Ti
Source: the OMol25 dataset
Level of theory: the ωB97M-V functional and the def2-TZVPD basis

Each line ends with the Löwdin charge.
Positions of all 114 atoms, in Å:
Ti -2.441 0.668 -0.712  0.2855
S -3.797 2.252 -1.678  0.1828
S -4.972 0.847 -0.592  -0.0284
S -5.152 -1.077 -1.582  -0.0074
S -3.145 -1.203 -2.063  -0.0873
C -2.174 5.313 4.582  -0.0408
C -2.198 4.540 3.263  -0.2751
C -1.532 4.994 2.138  -0.0328
C -1.418 4.366 0.931  -0.0608
C -0.877 5.060 -0.338  -0.2451
O -1.549 5.191 -1.343  0.1007
C 0.568 5.592 -0.367  -0.1208
C 1.097 6.242 -1.512  -0.0225
C 2.339 6.856 -1.509  -0.0828
C 3.184 6.701 -0.383  -0.0948
C 2.709 5.969 0.683  -0.1164
C 1.445 5.388 0.687  -0.0393
C -1.716 2.950 0.962  -0.2549
O -1.373 2.166 -0.016  -0.2165
C -2.407 2.393 2.133  -0.0462
C -2.847 3.341 3.098  0.0031
C -2.783 0.994 2.167  -0.1916
N -2.288 0.147 1.274  -0.0533
C -2.200 -1.305 1.486  -0.3088
C -0.834 -1.480 2.064  -0.4287
Te -0.092 -3.569 1.891  1.2197
C 0.586 -3.965 3.886  -0.5544
C 1.923 -4.390 4.054  -0.1724
C 2.515 -4.377 5.278  -0.1213
C 1.827 -3.858 6.329  -0.1145
C 0.458 -3.622 6.248  -0.0974
C -0.192 -3.639 5.016  -0.1459
C -3.598 0.487 3.258  -0.1667
C -3.275 0.778 4.612  -0.0373
C -3.888 0.161 5.666  -0.0838
C -4.974 -0.657 5.366  -0.0878
C -5.370 -0.941 4.060  -0.0642
C -4.712 -0.301 3.021  -0.0351
H -2.252 4.598 5.411  0.0745
H -2.989 6.000 4.605  0.0602
H -1.252 5.909 4.623  0.0781
H -1.143 6.010 2.190  0.1277
H 0.453 6.367 -2.391  0.1181
H 2.754 7.359 -2.386  0.1002
H 4.188 7.170 -0.320  0.1078
H 3.344 5.916 1.556  0.0958
H 1.185 4.781 1.603  0.1348
H -3.535 3.048 3.900  0.1161
H -2.407 -1.762 0.553  0.0521
H -2.946 -1.680 2.182  0.1044
H -0.788 -1.121 3.134  0.0846
H -0.025 -0.974 1.599  0.0121
H 2.485 -4.612 3.161  0.0796
H 3.539 -4.759 5.448  0.1181
H 2.363 -3.708 7.217  0.0824
H -0.194 -3.506 7.130  0.1077
H -1.283 -3.439 5.002  0.1084
H -2.443 1.464 4.773  0.1169
H -3.609 0.358 6.658  0.0875
H -5.458 -1.196 6.235  0.1168
H -6.230 -1.518 3.814  0.0976
H -5.177 -0.329 2.012  0.1084
O -0.862 0.607 -1.829  -0.2228
C -0.002 -0.146 -2.364  -0.4957
C 1.233 0.156 -3.040  -0.2783
C 1.087 0.744 -4.331  -0.0243
C 2.214 0.941 -5.113  -0.0870
C 3.456 0.600 -4.592  -0.0851
C 3.592 -0.009 -3.334  -0.0933
C 2.460 -0.244 -2.581  -0.3463
'''
== Here the text continues ==

fun aval :: "aexp => assignment => int" where
"aval (N n) _ = n" |
"aval (V v) m = m v" |
"aval (Plus a1 a2) m = aval a1 m + aval a2 m"

fun asimp_const :: "aexp => aexp" where
"asimp_const (N n) = N n" |
"asimp_const (V v) = V v" |
"asimp_const (Plus a1 a2) =
  (case (asimp_const a1, asimp_const a2) of
     (N n1, N n2) => N (n1 + n2) |
     (a1', a2') => Plus a1' a2'

―‹optimized plus that does constant folding and 0 elim›
fun plus :: "aexp => aexp => aexp" where
"plus (N i) (N j) = N (i + j)" |
"plus (N i) a = (if i = 0 then a else Plus (N i) a)" |
"plus a (N i) = (if i = 0 then a else Plus a (N i))" |
"plus a1 a2 = Plus a1 a2"

theorem plus_preserve_value_under_aval : "aval (plus a1 a2) as = aval a1 as + aval a2 as"
apply(induction rule:plus.induct)

fun asimp :: "aexp => aexp" where
"asimp (N n) = N n" |
"asimp (V v) = V v" |
"asimp (Plus a1 a2) = plus (asimp a1) (asimp a2)"

theorem asimp_preserve_value_under_aval : "aval (asimp a) as = aval a as"
apply(induction rule:asimp.induct)
apply(auto simp add:plus_preserve_value_under_aval)

―‹exercise 3.1›
fun optimal :: "aexp => bool" where
"optimal (N n) = True" |
"optimal (V v) = True" |
"optimal (Plus a1 a2) =
  (case (a1, a2) of
     (N _, N _) => False |
     _ => optimal a1 ∧ optimal a2)"

theorem asimp_const_optimality : "optimal (asimp_const a)"
apply(induction a)
apply(auto split: aexp.split)

―‹exercise 3.2›
fun full_asimp :: "aexp => aexp" where
"full_asimp (N n) = N n" |
"full_asimp (V v) = V v" |
"full_asimp (Plus a1 a2) = _"


view this post on Zulip Poscat (Feb 02 2025 at 09:55):

The polyml program is using 100% of one of my cores

view this post on Zulip Poscat (Feb 02 2025 at 10:04):

If I use this version of optimal that avoids a case expression

fun optimal :: "aexp => bool" where
"optimal (N n) = True" |
"optimal (V v) = True" |
"optimal (Plus (N _) (N _)) = False" |
"optimal (Plus a1 a2) = (optimal a1 ∧ optimal a2)"

the proof goes through :thinking:

Why is that?

view this post on Zulip Mathias Fleury (Feb 02 2025 at 10:31):


theorem asimp_const_optimality : "optimal (asimp_const a)"
  apply(induction a)
apply(auto split: aexp.split)

and see if you can guess what is happening

view this post on Zulip Mathias Fleury (Feb 02 2025 at 10:34):


Last updated: Mar 09 2025 at 12:28 UTC